Communication Forms
Graphic Organizers
Essays and persuasive writing

Describe what an audience is.

The people who you want to read/watch/listen to your creation.


Name one thing you SHOULDN'T do when writing an email.

Possible answers:

- Using short forms of words (ur, u, bc)

- Use informal language (sup, bro, lit)

- Write things that are irrelevant/unclear (idk what im even doing)

- Use improper grammar/spelling (im, didnt, luv)


What is a graphic organizer used for?

Organizing our thoughts and ideas.


Name one scenario where you may have to write a letter.

E.g., Letters of complaint, job applications, thank you letters, letters requesting changes or making suggestions, love letters, etc.


Describe a scenario where you might need to persuade someone.

Examples: when you are trying to decide on the type of pizza to order, when you are debating a topic...


What does communicative writing mean?

A form of writing that intends to share information about something.


What does a "subject" mean when writing emails?

A subject is what your email is about.


Explain how a Venn diagram works.

The two circles on the outside represent the differences between two things, and the intersection in the middle represents the similarities between them.


Describe why we write letters and provide an example of a scenario.

We write letters to communicate information in a professional format. Example: Writing a cover letter for a possible employer.


What is persuasive writing?

Persuasive writing is when you write to try and convince the audience of your opinion.


List 2 forms of communicative writing.

Letters, emails, essays, books


Name 3 scenarios where you would write an email.

Writing an email to your boss/teacher/professor, sending someone a document, when you want to communicate information with a written record...

Name a situation where you might use a Sequence Organizer.

### Here the page breaks off for records of crystals
+++
1.
Material: Hf3ScSi4
Method: DFT, GGA-PBE
State: relaxed Values from VASP.

Space-group type: Pm
Corrected total energy (MP2020 scheme), eV for the cell shown: -64.1
ΔE_f, eV/atom: -0.78

Cell and atoms, written as Quantum ESPRESSO input:
```
&SYSTEM
  ibrav = 0, nat = 8, ntyp = 3
/
ATOMIC_SPECIES
Si 28.09 Si.upf
Hf 178.49 Hf.upf
Sc 44.96 Sc.upf
CELL_PARAMETERS angstrom
-1.128 -1.624 3.165
1.555 -4.684 -1.849
6.407 0.989 2.791
ATOMIC_POSITIONS crystal
Si 0.000 0.360 0.958
Si 0.500 0.859 0.541
Si 0.500 0.640 0.042
Si 0.000 0.140 0.458
Hf 0.500 0.374 0.681
Hf 0.500 0.124 0.176
Hf 0.000 0.878 0.821
Sc 0.000 0.625 0.323
```


2.
Material: Te
Method: DFT, GGA-PBE
State: relaxed Values from VASP.

Maximum piezoelectric response, C/m2: 1.76
Space-group type: P3_221
ΔE_f, eV/atom: 0.00
Polymorph energy (0 for the lowest one), meV/atom: 0

Cell and atoms, written as Quantum ESPRESSO input:
```
&SYSTEM
  ibrav = 0, nat = 3, ntyp = 1
/
ATOMIC_SPECIES
Te 127.60 Te.upf
CELL_PARAMETERS angstrom
-2.621 3.434 1.286
-1.655 -4.191 -0.080
1.733 -0.793 5.649
ATOMIC_POSITIONS crystal
Te 0.000 0.269 0.333
Te 0.269 0.000 0.667
Te 0.731 0.731 0.000
```


3.
Material: SrSm2BeO5
Method: DFT, GGA-PBE
State: relaxed Values from VASP.

Space-group type: Pna2_1
Corrected total energy (MP2020 scheme), eV for the cell shown: -284.3
ΔE_f, eV/atom: -3.50

Cell and atoms, written as Quantum ESPRESSO input:
```
&SYSTEM
  ibrav = 0, nat = 36, ntyp = 4
/
ATOMIC_SPECIES
O 16.00 O.upf
Be 9.01 Be.upf
Sr 87.62 Sr.upf
Sm 150.36 Sm.upf
CELL_PARAMETERS angstrom
-5.605 1.345 3.127
-0.670 -6.945 1.787
4.880 1.602 8.057
ATOMIC_POSITIONS crystal
O 0.305 0.443 0.067
O 0.316 0.057 0.071
O 0.366 0.250 0.775
O 0.805 0.943 0.433
O 0.816 0.557 0.429
O 0.162 0.747 0.279
O 0.838 0.247 0.721
O 0.479 0.750 0.490
O 0.634 0.750 0.225
O 0.684 0.557 0.929
O 0.662 0.247 0.221
O 0.866 0.750 0.725
O 0.195 0.443 0.567
O 0.338 0.747 0.779
O 0.021 0.750 0.990
O 0.184 0.057 0.571
O 0.979 0.250 0.010
O 0.134 0.250 0.275
O 0.521 0.250 0.510
O 0.695 0.943 0.933
Be 0.693 0.749 0.399
Be 0.807 0.749 0.899
Be 0.193 0.249 0.101
Be 0.307 0.249 0.601
Sr 0.917 0.981 0.175
Sr 0.083 0.481 0.825
Sr 0.417 0.481 0.325
Sr 0.583 0.981 0.675
Sm 0.927 0.526 0.173
Sm 0.427 0.026 0.327
Sm 0.405 0.746 0.022
Sm 0.095 0.746 0.522
Sm 0.905 0.246 0.478
Sm 0.595 0.246 0.978
Sm 0.573 0.526 0.673
Sm 0.073 0.026 0.827
```
+++
### The page goes on

To describe the steps of something. Examples: cooking, building something, water cycle, etc.


Name the 3 major components of letters.

Heading, body, closing


What does the acronym OREO stand for?

Opinion, Reason, Example, Opinion

Explain why communicative writing is important and one example of where it will help you in life.

Communicative writing is important because it allows us to convey information clearly to another person/audience. Example: writing letters for a job application, writing emails to your boss/teacher/professor.


Create a subject line for the following email:

Hi Mr. Smith,

On Friday, I will not be in class because I have a chiropractor appointment. Is there another time I can write the math test?



Subject line: Upcoming Math Test, Absence on Friday...


Describe what a Biography Organizer is used for and give an example of when you'd use it.

It is used to categorize and organize information about a real person. Example: writing a report about Marie Curie.


What does the heading of a letter include?

Date, address, salutation, introduction


Name the 3 parts of an essay and provide an example of what you might say in each.

Introduction, Body, Conclusion


Construct 2 sentences with the same topic but for 2 different audiences: a grade 7/8 student and a kindergarten student.

Ms. Swidersky decides.


Name the 5 required parts of an email.

Subject line, sender/recipient, salutation, body, closing


Create a Venn diagram that compares the criteria for citizenship in Ancient Greece and Canada.

See picture.


Name the 5 things that are included in the closing of a letter.

Conclusion, sign-off, signature, name, contact information


Using the OREO method, persuade me why _______ is the best kind of icecream.

Ms. Swidersky decides.